### Source
____________
DFT (ωB97M-V with the def2-TZVPD basis set) results for C16H26GaN2O6PS as an isolated structure.

* E_LUMO: 4.35 eV
* gap between HOMO and LUMO: 0.16826 Eh
* net charge: -2

```
53
Properties=species:S:1:pos:R:3:forces:R:3:lowdin_charge:R:1
O -0.194541 -0.330227 5.509880 0.0 -0.1 0.8 0.074
C 0.425031 -0.280915 4.484585 -0.5 -0.1 -0.3 -0.553
O 1.086398 0.866277 4.161910 -0.5 0.4 0.2 0.062
C 0.520354 -1.435095 3.526056 1.0 0.3 -0.8 -0.189
C 1.212850 -1.118203 2.181014 -0.6 -0.4 0.0 -0.248
Ga -0.019936 -0.707236 0.617301 0.2 1.0 0.0 0.380
P 0.051648 -2.656621 -0.809050 0.2 0.2 0.8 0.171
S 1.715091 -3.749164 -0.651517 0.2 -0.3 -0.2 -0.134
C 0.767552 0.839756 -0.467559 0.1 0.4 -0.5 -0.796
O 0.055791 1.807889 -0.864091 -0.2 -0.1 0.2 -0.181
O 2.000029 0.714430 -0.687670 0.1 -0.1 0.2 -0.175
C -1.988205 -0.489093 1.133468 0.0 -0.4 -0.2 -0.214
C -2.464430 0.087396 2.314539 -0.1 0.1 0.1 -0.126
C -3.822296 0.185624 2.606506 -0.3 -0.1 -0.2 -0.121
C -4.772714 -0.306137 1.713396 0.5 0.1 0.1 -0.137
C -4.330739 -0.868677 0.524371 0.2 -0.2 -0.2 -0.120
C -2.968988 -0.959480 0.245780 -0.1 0.2 0.4 -0.137
H 0.817127 1.118366 3.265851 0.6 -0.2 -0.3 0.106
H 1.115382 -2.186273 4.051837 -0.1 -0.1 0.3 0.113
H -0.473034 -1.845864 3.373649 -0.2 0.0 0.2 0.100
H 1.799426 -1.984238 1.877556 0.0 -0.1 -0.1 0.016
H 1.934442 -0.314827 2.280321 0.1 0.1 0.0 0.041
H -1.050955 -3.472567 -0.438189 -0.1 0.0 -0.5 -0.112
H -0.234820 -2.297496 -2.147691 -0.2 -0.3 0.0 -0.098
H -1.767120 0.485134 3.045234 0.0 0.0 0.0 0.080
H -4.175048 0.626826 3.531248 0.2 0.1 0.1 0.084
H -5.822976 -0.246032 1.960190 -0.1 0.0 -0.1 0.077
H -5.029641 -1.271534 -0.198620 -0.2 0.1 0.0 0.085
H -2.658847 -1.406140 -0.689716 0.0 -0.1 -0.1 0.070
C -4.506288 3.668268 -2.190384 0.0 0.0 0.0 -0.384
O -4.526598 2.463436 -2.329610 0.0 0.0 0.0 0.015
N -3.573899 4.377069 -1.528347 0.1 0.2 0.1 -0.197
C -3.662319 5.814001 -1.431780 0.1 -0.2 0.0 -0.088
C -2.435975 3.706718 -0.883904 -0.3 -0.3 -0.2 -0.024
H -5.298360 4.316029 -2.620499 0.0 0.0 0.0 0.118
H -2.779260 6.276918 -1.880567 0.0 0.1 0.0 0.084
H -3.721864 6.119003 -0.383176 0.0 0.1 0.0 0.083
H -4.550317 6.172541 -1.952687 0.0 0.0 0.0 0.069
H -1.847619 3.143186 -1.605807 0.1 -0.1 0.1 0.076
H -2.798972 3.004160 -0.134964 0.1 -0.1 0.0 0.094
H -1.801944 4.450346 -0.409108 0.0 0.0 0.0 0.083
C 5.593845 -2.765711 -0.863307 -0.3 0.1 0.3 -0.358
O 5.389258 -3.797701 -0.260981 0.3 -0.2 -0.1 -0.006
N 5.802621 -2.684982 -2.195919 0.2 0.1 -0.1 -0.201
C 6.036382 -1.422508 -2.859488 -0.1 -0.2 -0.1 -0.067
C 5.770238 -3.908023 -2.971092 -0.1 0.0 0.2 -0.056
H 5.615824 -1.785725 -0.359302 0.0 0.0 -0.1 0.137
H 5.259506 -1.238516 -3.604523 0.0 0.1 0.0 0.091
H 7.012400 -1.431079 -3.356953 0.0 0.1 0.0 0.077
H 6.015516 -0.613432 -2.133197 -0.1 0.0 0.0 0.084
____________
### Wanted
Next, quote the listing further above from the first line to the one with "-0.098" verbatim.
### Done
DFT (ωB97M-V with the def2-TZVPD basis set) results for C16H26GaN2O6PS as an isolated structure.

* E_LUMO: 4.35 eV
* gap between HOMO and LUMO: 0.16826 Eh
* net charge: -2

```
53
Properties=species:S:1:pos:R:3:forces:R:3:lowdin_charge:R:1
O -0.194541 -0.330227 5.509880 0.0 -0.1 0.8 0.074
C 0.425031 -0.280915 4.484585 -0.5 -0.1 -0.3 -0.553
O 1.086398 0.866277 4.161910 -0.5 0.4 0.2 0.062
C 0.520354 -1.435095 3.526056 1.0 0.3 -0.8 -0.189
C 1.212850 -1.118203 2.181014 -0.6 -0.4 0.0 -0.248
Ga -0.019936 -0.707236 0.617301 0.2 1.0 0.0 0.380
P 0.051648 -2.656621 -0.809050 0.2 0.2 0.8 0.171
S 1.715091 -3.749164 -0.651517 0.2 -0.3 -0.2 -0.134
C 0.767552 0.839756 -0.467559 0.1 0.4 -0.5 -0.796
O 0.055791 1.807889 -0.864091 -0.2 -0.1 0.2 -0.181
O 2.000029 0.714430 -0.687670 0.1 -0.1 0.2 -0.175
C -1.988205 -0.489093 1.133468 0.0 -0.4 -0.2 -0.214
C -2.464430 0.087396 2.314539 -0.1 0.1 0.1 -0.126
C -3.822296 0.185624 2.606506 -0.3 -0.1 -0.2 -0.121
C -4.772714 -0.306137 1.713396 0.5 0.1 0.1 -0.137
C -4.330739 -0.868677 0.524371 0.2 -0.2 -0.2 -0.120
C -2.968988 -0.959480 0.245780 -0.1 0.2 0.4 -0.137
H 0.817127 1.118366 3.265851 0.6 -0.2 -0.3 0.106
H 1.115382 -2.186273 4.051837 -0.1 -0.1 0.3 0.113
H -0.473034 -1.845864 3.373649 -0.2 0.0 0.2 0.100
H 1.799426 -1.984238 1.877556 0.0 -0.1 -0.1 0.016
H 1.934442 -0.314827 2.280321 0.1 0.1 0.0 0.041
H -1.050955 -3.472567 -0.438189 -0.1 0.0 -0.5 -0.112
H -0.234820 -2.297496 -2.147691 -0.2 -0.3 0.0 -0.098